Entries =
- - -
# 1
Structure and theoretical X-ray diffraction stick pattern of TiAl2FeP (a crystal structure in Alexandria, relaxed with GGA-PBE; Cu Kα, 1.54184 Å).

Principal peaks in the range 2θ from 10° to 80°, in order of falling intensity:
- d = 2.610 Å, intensity 100
- d = 2.266 Å, intensity 70
- d = 1.596 Å, intensity 44
- d = 3.205 Å, intensity 37
- d = 2.249 Å, intensity 34
- d = 1.366 Å, intensity 23
- d = 1.603 Å, intensity 22
- d = 1.305 Å, intensity 22
- d = 3.193 Å, intensity 19
- d = 1.841 Å, intensity 13

Atomic structure:
```
5
Lattice="4.5329 0.0000 0.0000 0.0000 4.5329 0.0000 0.0000 0.0000 4.4979" Properties=species:S:1:pos:R:3 pbc="T T T"
Ti 0.0000 0.0000 0.0000
Al 0.0000 2.2664 2.2489
Al 2.2664 0.0000 2.2489
Fe 2.2664 2.2664 0.0000
P 0.0000 0.0000 2.2489
```

***

# 2
Structure and theoretical X-ray diffraction stick pattern of PaAl10Fe2 (a crystal structure in Alexandria, relaxed with GGA-PBE; Cu Kα, 1.54184 Å).

Principal peaks in the range 2θ from 10° to 80°, in order of falling intensity:
- d = 2.212 Å, intensity 100
- d = 2.227 Å, intensity 98
- d = 5.355 Å, intensity 87
- d = 6.677 Å, intensity 81
- d = 3.129 Å, intensity 74
- d = 4.425 Å, intensity 66
- d = 3.149 Å, intensity 57
- d = 2.206 Å, intensity 54
- d = 3.722 Å, intensity 53
- d = 2.395 Å, intensity 52

Atomic structure:
```
26
Lattice="4.4238 -5.0886 0.0000 4.4238 5.0886 0.0000 0.0000 0.0000 8.9664" Properties=species:S:1:pos:R:3 pbc="T T T"
Pa 4.4238 3.8300 6.7248
Pa 4.4238 -3.8300 2.2416
Al 2.4060 1.3962 6.7248
Al 4.4238 3.4908 0.8875
Al 4.4238 3.4908 3.5958
Al 3.0972 1.3152 2.2416
Al 1.9804 0.0000 0.0000
Al 1.9804 0.0000 4.4832
Al 4.4238 1.2762 4.9237
Al 4.4238 1.2762 8.5259
Al 2.4060 -1.3962 2.2416
Al 3.0972 -1.3152 6.7248
Al 5.7503 1.3152 2.2416
Al 6.4415 1.3962 6.7248
Al 4.4238 -1.2762 0.4405
Al 4.4238 -1.2762 4.0427
Al 6.8671 0.0000 0.0000
Al 6.8671 0.0000 4.4832
Al 5.7503 -1.3152 6.7248
Al 4.4238 -3.4908 5.3707
Al 4.4238 -3.4908 8.0790
Al 6.4415 -1.3962 2.2416
Fe 2.2119 2.5443 0.0000
Fe 2.2119 2.5443 4.4832
Fe 2.2119 -2.5443 0.0000
Fe 2.2119 -2.5443 4.4832
```

***

# 3
Structure and theoretical X-ray diffraction stick pattern of AlFePd5 (a crystal structure in Alexandria, relaxed with GGA-PBE; Cu Kα, 1.54184 Å).

Principal peaks in the range 2θ from 10° to 80°, in order of falling intensity:
- d = 2.037 Å, intensity 100
- d = 3.500 Å, intensity 95
- d = 2.114 Å, intensity 85
- d = 2.305 Å, intensity 81
- d = 2.332 Å, intensity 73
- d = 1.966 Å, intensity 72
- d = 2.634 Å, intensity 49
- d = 2.589 Å, intensity 41
- d = 1.756 Å, intensity 34
- d = 1.255 Å, intensity 31

Atomic structure:
```
14
Lattice="4.7135 -4.3466 0.0000 4.7135 4.3466 0.0000 -3.4519 0.0000 5.9015" Properties=species:S:1:pos:R:3 pbc="T T T"
Al 2.1246 4.1806 4.4261
Al 3.8505 -4.1806 1.4754
Fe 4.7135 0.0000 0.0000
Fe 2.9875 0.0000 2.9507
Pd 3.6094 2.4154 0.1663
Pd -0.3108 0.7440 3.8416
Pd 1.4152 -0.7440 0.8908
Pd 2.1246 1.7925 4.4261
Pd 4.0916 2.4154 2.7844
Pd 1.8834 -2.4154 3.1171
Pd 3.8505 -1.7925 1.4754
Pd 4.5599 0.7440 5.0107
Pd 6.2858 -0.7440 2.0599
Pd 2.3657 -2.4154 5.7352
```

***

# 4
Structure and theoretical X-ray diffraction stick pattern of PmAl4Fe (a crystal structure in Alexandria, relaxed with GGA-PBE; Cu Kα, 1.54184 Å).

Principal peaks in the range 2θ from 10° to 80°, in order of falling intensity:
- d = 2.478 Å, intensity 100
- d = 2.578 Å, intensity 54
- d = 3.133 Å, intensity 53
- d = 2.781 Å, intensity 52
- d = 3.827 Å, intensity 51
- d = 4.049 Å, intensity 45
- d = 2.024 Å, intensity 29
- d = 2.048 Å, intensity 27
- d = 1.828 Å, intensity 24
- d = 1.730 Å, intensity 21

Atomic structure:
```
12
Lattice="7.6543 0.0000 0.0000 0.0000 4.0487 0.0000 0.0000 0.0000 6.8681" Properties=species:S:1:pos:R:3 pbc="T T T"
Pm 1.9136 0.0000 0.8278
Pm 5.7407 0.0000 6.0402
Al 0.0000 0.0000 3.4340
Al 0.5454 2.0244 5.5155
Al 1.9136 2.0244 3.1783
Al 3.2818 2.0244 5.5155
Al 3.8271 0.0000 3.4340
Al 4.3725 2.0244 1.3525
Al 5.7407 2.0244 3.6898
Al 7.1089 2.0244 1.3525
- - -
To do =
Type out only the lines further up with the word "from" in them, please.
Result =
Principal peaks in the range 2θ from 10° to 80°, in order of falling intensity:
Principal peaks in the range 2θ from 10° to 80°, in order of falling intensity:
Principal peaks in the range 2θ from 10° to 80°, in order of falling intensity:
Principal peaks in the range 2θ from 10° to 80°, in order of falling intensity: